== Source ==
# 1
17
Lattice="6.7681 0.0000 -2.3929 -3.3840 5.8613 -2.3929 0.0000 0.0000 7.1786" Properties=species:S:1:pos:R:3 comment="Mg4Ge6Pd7 | Alexandria | PBE | relaxed" density_g_cm3=7.45 formation_energy_ev_per_atom=-0.566 n_ef_per_ev_cell=5.3 magnetic_moment_mub_per_fu=0.00 pbc="T T T"
Mg 3.3840 0.0000 -1.1964
Mg 1.6920 2.9307 1.1964
Mg -1.6920 2.9307 -1.1964
Mg 0.0000 0.0000 3.5893
Ge 4.6558 0.0000 3.2922
Ge 2.3279 4.0321 -3.2922
Ge -1.0561 1.8292 1.4936
Ge 2.1122 0.0000 1.4936
Ge 1.0561 1.8292 -1.4936
Ge -2.3279 4.0321 3.2922
Pd 3.3840 2.9307 -1.1964
Pd -0.8460 4.3960 1.1964
Pd 0.8460 4.3960 -1.1964
Pd 4.2300 1.4653 1.1964
Pd 0.0000 2.9307 3.5893
Pd 2.5380 1.4653 3.5893
Pd 0.0000 0.0000 0.0000

# 2
4
Lattice="-0.5281 2.4993 -3.3883 2.9008 -2.2569 -2.1169 -2.6009 -2.2006 -1.2178" Properties=species:S:1:pos:R:3 comment="LaNi2Os | Alexandria | PBE | relaxed" density_g_cm3=11.39 formation_energy_ev_per_atom=0.263 n_ef_per_ev_cell=6.5 magnetic_moment_mub_per_fu=0.45 relative_energy_mev_per_atom=398.6 pbc="T T T"
La 0.1500 -2.2288 -1.6673
Ni 0.0000 0.0000 0.0000
Ni 1.1863 0.1212 -2.7526
Os -1.5645 0.1494 -2.3031

# 3
8
Lattice="-2.0290 -1.1573 1.5485 3.3416 -7.7197 -1.3910 2.4092 4.9701 4.3351" Properties=species:S:1:pos:R:3 comment="TiPd4Pt3 | Alexandria | PBE | relaxed" density_g_cm3=13.63 formation_energy_ev_per_atom=-0.243 n_ef_per_ev_cell=8.4 magnetic_moment_mub_per_fu=0.00 relative_energy_mev_per_atom=0.0 pbc="T T T"
Pt 1.2171 0.2111 1.7525
Pt 2.5047 -4.1179 2.7402
Pt 1.6708 -3.8599 -0.6955
Pd 3.0590 -1.3851 2.9730
Pd 0.6628 -2.5218 1.5197
Pd 2.2054 -6.0855 0.8776
Pd 1.5164 2.1786 3.6151
Ti -1.0145 -0.5786 0.7743

# 4
12
Lattice="6.4514 0.0000 0.0000 0.0000 6.7763 0.0000 0.0000 -3.3881 6.1358" Properties=species:S:1:pos:R:3 comment="SrZnGa3Pt | Alexandria | PBE | relaxed" density_g_cm3=6.90 formation_energy_ev_per_atom=-0.318 n_ef_per_ev_cell=5.5 magnetic_moment_mub_per_fu=0.00 pbc="T T T"
Sr 4.8385 0.0000 3.3061
Sr 1.6128 3.3881 2.8297
Zn 1.6128 3.3881 6.0005
Zn 4.8385 0.0000 0.1354
Ga 1.6128 0.0000 2.2843
Ga 0.0000 2.0003 0.0000
Ga 3.2257 4.7759 0.0000
Ga 3.2257 2.0003 0.0000
Ga 0.0000 4.7759 0.0000
Ga 4.8385 3.3881 3.8515
Pt 1.6128 0.0000 4.6978
Pt 4.8385 3.3881 1.4380

# 5
8
Lattice="6.8312 -0.0003 0.0004 -0.0001 6.8312 0.0003 -3.4150 -3.4150 4.4424" Properties=species:S:1:pos:R:3 comment="Tm5In2H | Alexandria | PBE | relaxed" total_energy_ev_per_fu=-32.60 density_g_cm3=8.61 n_ef_per_ev_cell=8.9 magnetic_moment_mub_per_fu=0.00 pbc="T T T"
Tm 5.1097 1.7206 0.0226
Tm 1.7192 1.7191 0.0220
Tm 5.1110 5.1109 0.0232
Tm 1.7207 5.1096 0.0225
Tm 3.4156 3.4155 2.2804
In 0.0007 3.4169 2.2537
In 3.4169 0.0006 2.2537
H 0.0003 0.0003 0.0280

# 6
12
Lattice="5.2741 0.0170 -1.5408 -1.4742 9.4870 -4.9424 0.1011 -0.8282 10.1764" Properties=species:S:1:pos:R:3 comment="Ac6La5Nd | Alexandria | PBE | relaxed" density_g_cm3=7.50 formation_energy_ev_per_atom=0.020 n_ef_per_ev_cell=22.5 magnetic_moment_mub_per_fu=0.00 pbc="T T T"
Ac 3.6013 5.0039 2.6141
Ac 4.3412 0.2456 5.0929
Ac 1.5292 7.1345 -4.4827
Ac 2.2707 2.3694 -2.0005
Ac -0.4402 8.4302 -1.3997
Ac 0.2997 3.6719 1.0791
Nd 0.0000 0.0000 0.0000
La 3.3036 1.3158 1.5401
La 1.3367 2.6210 4.6324
La -0.7371 4.7435 -2.4712
La 2.5643 6.0547 -0.9392
La 0.5974 7.3600 2.1531

# 7
4
Lattice="5.0842 0.0000 0.0000 2.5421 4.4031 0.0000 2.5421 1.4677 4.1513" Properties=species:S:1:pos:R:3 comment="LaHoGaRh | Alexandria | PBE | relaxed" density_g_cm3=8.51 formation_energy_ev_per_atom=-0.593 n_ef_per_ev_cell=3.8 magnetic_moment_mub_per_fu=0.00 relative_energy_mev_per_atom=101.4 pbc="T T T"
Rh 5.0842 2.9354 2.0756
Ho 7.6264 4.4031 3.1134
Ga 0.0000 0.0000 0.0000
La 2.5421 1.4677 1.0378

# 8
12
Lattice="-0.8193 4.9469 -1.3787 -0.9181 -2.3755 -7.9781 -7.2286 -0.8913 1.0973" Properties=species:S:1:pos:R:3 comment="BaMg2CdGa2 | Alexandria | PBE | relaxed" density_g_cm3=4.53 formation_energy_ev_per_atom=-0.089 n_ef_per_ev_cell=4.9 magnetic_moment_mub_per_fu=0.00 pbc="T T T"
Ba -0.8687 1.2857 -4.6784

== Work order ==
Could you reproduce everything further up unchanged?

== Completed ==
# 1
17
Lattice="6.7681 0.0000 -2.3929 -3.3840 5.8613 -2.3929 0.0000 0.0000 7.1786" Properties=species:S:1:pos:R:3 comment="Mg4Ge6Pd7 | Alexandria | PBE | relaxed" density_g_cm3=7.45 formation_energy_ev_per_atom=-0.566 n_ef_per_ev_cell=5.3 magnetic_moment_mub_per_fu=0.00 pbc="T T T"
Mg 3.3840 0.0000 -1.1964
Mg 1.6920 2.9307 1.1964
Mg -1.6920 2.9307 -1.1964
Mg 0.0000 0.0000 3.5893
Ge 4.6558 0.0000 3.2922
Ge 2.3279 4.0321 -3.2922
Ge -1.0561 1.8292 1.4936
Ge 2.1122 0.0000 1.4936
Ge 1.0561 1.8292 -1.4936
Ge -2.3279 4.0321 3.2922
Pd 3.3840 2.9307 -1.1964
Pd -0.8460 4.3960 1.1964
Pd 0.8460 4.3960 -1.1964
Pd 4.2300 1.4653 1.1964
Pd 0.0000 2.9307 3.5893
Pd 2.5380 1.4653 3.5893
Pd 0.0000 0.0000 0.0000

# 2
4
Lattice="-0.5281 2.4993 -3.3883 2.9008 -2.2569 -2.1169 -2.6009 -2.2006 -1.2178" Properties=species:S:1:pos:R:3 comment="LaNi2Os | Alexandria | PBE | relaxed" density_g_cm3=11.39 formation_energy_ev_per_atom=0.263 n_ef_per_ev_cell=6.5 magnetic_moment_mub_per_fu=0.45 relative_energy_mev_per_atom=398.6 pbc="T T T"
La 0.1500 -2.2288 -1.6673
Ni 0.0000 0.0000 0.0000
Ni 1.1863 0.1212 -2.7526
Os -1.5645 0.1494 -2.3031

# 3
8
Lattice="-2.0290 -1.1573 1.5485 3.3416 -7.7197 -1.3910 2.4092 4.9701 4.3351" Properties=species:S:1:pos:R:3 comment="TiPd4Pt3 | Alexandria | PBE | relaxed" density_g_cm3=13.63 formation_energy_ev_per_atom=-0.243 n_ef_per_ev_cell=8.4 magnetic_moment_mub_per_fu=0.00 relative_energy_mev_per_atom=0.0 pbc="T T T"
Pt 1.2171 0.2111 1.7525
Pt 2.5047 -4.1179 2.7402
Pt 1.6708 -3.8599 -0.6955
Pd 3.0590 -1.3851 2.9730
Pd 0.6628 -2.5218 1.5197
Pd 2.2054 -6.0855 0.8776
Pd 1.5164 2.1786 3.6151
Ti -1.0145 -0.5786 0.7743

# 4
12
Lattice="6.4514 0.0000 0.0000 0.0000 6.7763 0.0000 0.0000 -3.3881 6.1358" Properties=species:S:1:pos:R:3 comment="SrZnGa3Pt | Alexandria | PBE | relaxed" density_g_cm3=6.90 formation_energy_ev_per_atom=-0.318 n_ef_per_ev_cell=5.5 magnetic_moment_mub_per_fu=0.00 pbc="T T T"
Sr 4.8385 0.0000 3.3061
Sr 1.6128 3.3881 2.8297
Zn 1.6128 3.3881 6.0005
Zn 4.8385 0.0000 0.1354
Ga 1.6128 0.0000 2.2843
Ga 0.0000 2.0003 0.0000
Ga 3.2257 4.7759 0.0000
Ga 3.2257 2.0003 0.0000
Ga 0.0000 4.7759 0.0000
Ga 4.8385 3.3881 3.8515
Pt 1.6128 0.0000 4.6978
Pt 4.8385 3.3881 1.4380

# 5
8
Lattice="6.8312 -0.0003 0.0004 -0.0001 6.8312 0.0003 -3.4150 -3.4150 4.4424" Properties=species:S:1:pos:R:3 comment="Tm5In2H | Alexandria | PBE | relaxed" total_energy_ev_per_fu=-32.60 density_g_cm3=8.61 n_ef_per_ev_cell=8.9 magnetic_moment_mub_per_fu=0.00 pbc="T T T"
Tm 5.1097 1.7206 0.0226
Tm 1.7192 1.7191 0.0220
Tm 5.1110 5.1109 0.0232
Tm 1.7207 5.1096 0.0225
Tm 3.4156 3.4155 2.2804
In 0.0007 3.4169 2.2537
In 3.4169 0.0006 2.2537
H 0.0003 0.0003 0.0280

# 6
12
Lattice="5.2741 0.0170 -1.5408 -1.4742 9.4870 -4.9424 0.1011 -0.8282 10.1764" Properties=species:S:1:pos:R:3 comment="Ac6La5Nd | Alexandria | PBE | relaxed" density_g_cm3=7.50 formation_energy_ev_per_atom=0.020 n_ef_per_ev_cell=22.5 magnetic_moment_mub_per_fu=0.00 pbc="T T T"
Ac 3.6013 5.0039 2.6141
Ac 4.3412 0.2456 5.0929
Ac 1.5292 7.1345 -4.4827
Ac 2.2707 2.3694 -2.0005
Ac -0.4402 8.4302 -1.3997
Ac 0.2997 3.6719 1.0791
Nd 0.0000 0.0000 0.0000
La 3.3036 1.3158 1.5401
La 1.3367 2.6210 4.6324
La -0.7371 4.7435 -2.4712
La 2.5643 6.0547 -0.9392
La 0.5974 7.3600 2.1531

# 7
4
Lattice="5.0842 0.0000 0.0000 2.5421 4.4031 0.0000 2.5421 1.4677 4.1513" Properties=species:S:1:pos:R:3 comment="LaHoGaRh | Alexandria | PBE | relaxed" density_g_cm3=8.51 formation_energy_ev_per_atom=-0.593 n_ef_per_ev_cell=3.8 magnetic_moment_mub_per_fu=0.00 relative_energy_mev_per_atom=101.4 pbc="T T T"
Rh 5.0842 2.9354 2.0756
Ho 7.6264 4.4031 3.1134
Ga 0.0000 0.0000 0.0000
La 2.5421 1.4677 1.0378

# 8
12
Lattice="-0.8193 4.9469 -1.3787 -0.9181 -2.3755 -7.9781 -7.2286 -0.8913 1.0973" Properties=species:S:1:pos:R:3 comment="BaMg2CdGa2 | Alexandria | PBE | relaxed" density_g_cm3=4.53 formation_energy_ev_per_atom=-0.089 n_ef_per_ev_cell=4.9 magnetic_moment_mub_per_fu=0.00 pbc="T T T"
Ba -0.8687 1.2857 -4.6784